Itanagar: In a resounding display of dominance, Arunachal Pradesh Chief Minister Pema Khandu secured an uncontested victory from the Mukto Assembly constituency, reaffirming the Bharatiya Janata Party’s (BJP) stronghold in the region. Khandu’s unopposed win is emblematic of a larger trend, as he stands among five BJP candidates who clinched their seats without facing any opposition.
The opposition’s inability to field suitable candidates against the BJP underscores the ruling party’s firm grip on power in Arunachal Pradesh. With the deadline for filing nominations expiring on March 26, the BJP capitalised on the lack of viable challengers in key constituencies, cementing its position in the state’s political landscape.
Joining Khandu in the ranks of uncontested winners are Ratu Techi from Sagalee and Hage Appa from Ziro, both securing their seats without encountering any opposition. The absence of rival candidates in crucial districts like Papum Pare signals a clear path for the BJP to sweep the assembly elections.
Er Ratu Techi’s emergence as a prominent contender in Sagalee further strengthens the BJP’s hold, with no opposition candidates stepping forward before the nomination deadline. Similarly, Er Hage Appa’s uncontested victory in Ziro bolsters the ruling party’s prospects in Lower Subansiri district.
**Attached: quantum chemistry results:**
********
Record 1
Computed, not measured: a cluster of 4 separate species, C29H27BO18 in total in a non-equilibrium geometry, with ωB97M-V with the def2-TZVPD basis set.

Its SMILES is CCOB(O)C1=CC(=O)C(OC[C@@H](C)O)=CC1=O.O=C1C=C(O)C(=O)C=C1O.O=C1C=C(O)C(=O)C=C1O.O=C1C=C(O)C(=O)C=C1O. As for the HOMO energy: -9.67 eV.

Last column: Mulliken charge in e.
Element x y z (Å)
C  3.84  -0.01  2.51  -0.98
C  2.26  0.43  2.46  0.16
O  2.00  1.86  2.73  -0.42
B  0.73  2.31  2.12  0.64
O  0.74  3.67  1.49  -0.55
C  -0.68  1.47  2.09  0.38
C  -1.76  1.66  1.04  -0.42
C  -3.15  0.72  1.10  0.19
O  -4.35  1.21  0.73  -0.52
C  -2.93  -0.84  1.65  0.71
O  -3.80  -1.88  1.09  -0.41
C  -3.18  -3.21  1.11  -0.38
C  -3.54  -4.09  2.48  0.24
C  -2.24  -4.99  3.00  -1.08
O  -4.01  -3.26  3.60  -0.53
C  -1.89  -1.01  2.70  -0.12
C  -1.05  0.29  3.23  -0.10
O  -0.65  0.40  4.50  -0.57
H  4.37  0.09  1.47  0.21
H  3.90  -1.16  2.83  0.28
H  4.38  0.60  3.34  0.32
H  1.71  -0.17  3.33  0.15
H  1.71  0.09  1.46  0.03
H  0.90  3.45  0.50  0.27
H  -1.64  2.48  0.18  0.29
H  -3.68  -3.83  0.22  0.20
H  -2.02  -3.22  0.95  0.23
H  -4.41  -4.88  2.26  0.36
H  -2.27  -6.08  2.52  0.32
H  -2.33  -5.17  4.17  0.29
H  -1.22  -4.49  2.69  0.30
H  -3.22  -3.12  4.24  0.35
H  -1.66  -2.07  3.15  0.16
C  3.21  -1.97  -2.00  -0.93
C  2.72  -2.40  -3.16  0.40
C  1.78  -1.57  -3.97  0.83
O  1.36  -1.99  -5.04  -0.64
C  1.38  -0.26  -3.43  -0.77
C  1.86  0.17  -2.26  0.31
C  2.83  -0.65  -1.47  0.95
O  3.27  -0.22  -0.41  -0.54
O  1.49  1.40  -1.75  -0.60
O  3.07  -3.64  -3.67  -0.61
H  3.89  -2.56  -1.41  0.47
H  0.68  0.32  -4.01  0.47
H  1.98  1.48  -0.90  0.27
H  2.59  -3.72  -4.52  0.35
C  1.68  6.71  1.39  -0.89
C  2.89  7.02  0.91  0.11
C  3.29  8.43  0.67  0.84
O  4.41  8.68  0.24  -0.63
C  2.31  9.49  0.96  -0.96
C  1.10  9.18  1.44  0.44
C  0.71  7.77  1.70  0.86
O  -0.40  7.53  2.16  -0.63
O  0.17  10.17  1.71  -0.56
O  3.81  6.03  0.61  -0.53
H  1.37  5.69  1.57  0.91
H  2.61  10.51  0.76  0.41
H  -0.62  9.70  2.05  0.35
H  4.60  6.50  0.28  0.35
C  -0.82  -4.95  -3.45  -1.00
C  -1.49  -5.70  -4.33  0.45
C  -2.93  -5.44  -4.62  0.87
O  -3.52  -6.13  -5.44  -0.60
C  -3.60  -4.34  -3.89  -0.71
C  -2.92  -3.60  -3.01  0.25
C  -1.48  -3.84  -2.74  0.90
O  -0.88  -3.13  -1.94  -0.57
O  -3.54  -2.57  -2.32  -0.58
O  -0.88  -6.74  -5.00  -0.58
H  0.23  -5.12  -3.23  0.49
H  -4.65  -4.18  -4.09  0.45
H  -2.84  -2.18  -1.75  0.25
H  -1.58  -7.13  -5.57  0.35

***

Record 2
Computed, not measured: a structure of composition CH3N2O in a non-equilibrium geometry, with ωB97M-V with the def2-TZVPD basis set.

Its charge is +1. As for the HOMO energy: -17.20 eV.

Last column: natural (NBO) charge in e.
Element x y z (Å)
C  0.99  0.36  0.12  0.12
N  0.06  -0.48  -0.30  -0.48
N  -1.75  -0.34  -0.14  0.53
O  -2.03  0.64  0.32  -0.02
H  0.51  1.23  0.39  0.21
H  1.94  0.01  0.24  0.24
H  0.28  -1.42  -0.63  0.42

***

Record 3
********
The BJP’s electoral juggernaut extends beyond Mukto and Sagalee, with additional uncontested wins by Jikke Tako from Tali, Nyato Dukom from Taliha, and Mutchu Mithi from Roing Assembly constituencies. The absence of opposition candidates in these areas solidifies the BJP’s dominance and sets the stage for a commanding victory in the upcoming elections.
Former Chief Minister Nabam Tuki, a stalwart with 30 years of service as MLA from Sagalee, opted to contest parliamentary elections this time, shifting his focus to Aalo. Tuki’s decision reflects the evolving political landscape and the BJP’s growing influence in the region.
As Arunachal Pradesh braces for the electoral fray, the BJP’s uncontested victories underscore its formidable presence and the challenge facing the opposition in countering its ascendancy. With the stage set for the assembly elections, all eyes are on the ruling party as it seeks to consolidate its grip on power in the state. The assembly elections in the state is slated on April 19 simultaneously with the Lok Sabha elections 24. The result of the assembly election will be declared on June 2, two days ahead of the general election result.